Japan dengue outbreak traced to Tokyo park


By North Asia correspondent Matthew Carney

Experts fear Japan’s first dengue outbreak since World War II could be a sign that global warming is helping the virus to spread to more countries.

The World Health Organisation said half the world’s population was now at risk of the mosquito-borne disease.

Over 70 cases of dengue have now been confirmed in Japan, with nearly all the cases tracked to Yoyogi Park, in the middle of Tokyo.

The park, which provides welcome relief to the 5 million visitors it gets every year has been closed for months, and the homeless community that shelters there had to move out.

“I’m surprised it’s happened,” said Sho Sato, who lived in the park for more than 12 years.

**Calculated molecules from another source follow**
-- begin --
53
Properties=species:S:1:pos:R:3:forces:R:3 method="wB97M-V/def2-TZVPD" orbital_gap_ha=0.2561 total_charge=-1
Ni 0.071075 0.113962 0.547280 -0.255 0.104 -0.054
Cl 6.359093 2.235860 -0.512125 0.000 0.000 0.000
C 4.975534 1.452494 0.197017 0.001 -0.009 0.010
C 3.710505 1.822961 -0.237828 -0.017 0.006 0.002
C 2.584634 1.218821 0.298944 -0.029 0.005 -0.023
N 1.251091 1.507170 -0.091388 0.079 -0.135 0.179
C 0.956100 2.812610 -0.253298 -0.022 0.065 -0.138
O 1.709137 3.774211 -0.094827 0.017 -0.049 -0.033
C -0.451787 3.166959 -0.670113 -0.029 -0.005 0.054
C -1.446036 3.343204 0.289468 0.001 -0.043 0.005
C -2.696298 3.759750 -0.118112 -0.020 0.008 -0.014
C -2.913506 3.999121 -1.469568 -0.012 0.001 0.028
C -1.855895 3.813495 -2.341684 0.034 -0.039 -0.018
N -0.643772 3.408325 -1.964299 -0.041 0.010 0.011
C 2.744622 0.216967 1.274166 -0.021 -0.015 -0.013
C 4.011526 -0.139710 1.720640 -0.009 0.007 -0.004
C 5.124933 0.484341 1.176816 0.003 0.006 -0.005
Cl 6.701674 0.015477 1.748160 0.003 -0.001 0.000
N 1.537387 -0.353616 1.663758 0.115 -0.002 0.103
C 1.395547 -1.353606 2.524872 0.007 -0.007 -0.003
O 2.216144 -1.931403 3.242312 -0.004 0.016 -0.010
C -0.053738 -1.790114 2.549472 -0.016 0.022 -0.019
C -0.495381 -2.741955 3.448830 -0.028 -0.024 0.017
C -1.832155 -3.101106 3.439631 0.022 -0.008 0.006
C -2.678338 -2.495144 2.525813 -0.017 0.018 -0.017
C -2.157778 -1.557424 1.649796 -0.021 0.018 -0.025
N -0.872442 -1.209306 1.652753 0.169 -0.044 0.045
H 3.605812 2.593012 -0.985364 0.022 0.004 0.000
H -1.227568 3.134740 1.328584 0.005 -0.006 -0.004
H -3.495334 3.893070 0.601392 0.004 0.003 0.003
H -3.878050 4.322442 -1.838357 0.002 0.003 -0.004
H -1.983648 3.992788 -3.404716 -0.008 0.004 0.000
H 4.121294 -0.901649 2.475874 0.001 -0.001 0.002
H 0.230942 -3.167688 4.126670 0.007 0.005 -0.003
H -2.209617 -3.842189 4.133010 -0.001 0.000 -0.002
H -3.729383 -2.743344 2.475371 0.000 0.000 0.000
H -2.779249 -1.073370 0.911523 -0.003 -0.002 -0.005
C -2.324443 -2.915853 -1.472658 -0.015 -0.006 -0.005
Ge -0.988180 -1.497926 -1.822230 -0.003 -0.031 0.041
C -1.038795 -1.151170 -3.759656 -0.023 0.038 0.011
C 0.766227 -2.295610 -1.424339 0.001 -0.011 -0.037
C -1.287767 0.155419 -0.831258 0.099 -0.005 -0.051
H -2.320039 -3.623472 -2.304711 -0.010 -0.026 0.024
H -3.332572 -2.505806 -1.381887 0.002 0.013 -0.022
H -2.096678 -3.467016 -0.558361 0.014 0.014 0.004
H -0.846122 -2.054120 -4.342120 0.012 -0.010 0.016
H -0.285747 -0.403206 -4.012962 -0.001 -0.001 -0.016
H -2.015472 -0.754899 -4.044296 0.003 -0.001 -0.012
H 0.970100 -3.144725 -2.081117 -0.007 0.006 -0.006
H 0.809098 -2.643130 -0.390431 0.003 -0.002 0.000
H 1.556612 -1.554567 -1.556971 0.005 -0.004 -0.002
H -2.317665 0.231847 -0.467838 -0.033 0.009 -0.044
H -1.155637 0.944077 -1.569635 0.016 0.102 0.025



60
Properties=species:S:1:pos:R:3:forces:R:3 method="wB97M-V/def2-TZVPD" orbital_gap_ha=0.2124 total_charge=-2 de_lowest_kj_mol=30.2
Cs 1.586334 1.126355 0.517585 0.394 -0.637 -0.688
-- stop --
**Back to the piece**

“Unless we kill all the mosquitoes, it’s just going to spread.”

Authorities have sprayed hundreds of litres of pesticides, drained all the ponds and lakes, and fenced off the park to try and contain the disease.

The director of Tokyo’s government health department, Keiichi Nakaya, said they have trapped and analysed about 300 mosquitoes.

“We’ve inspected the mosquitoes caught in Yoyogi park, and found the dengue virus in mosquitoes in four out of the ten locations we trapped them in,” he said.

Experts say the virus was most likely imported into the country by an infected individual who then transmitted it to domestic mosquitoes.

“We’re not sure it the patient is Japanese or a foreigner,” said Mutsuo Kobayashi, from the National Institute of Infectious Diseases.

(Inserted here: records of molecules)
=====
[1]
The following is a DFT calculation (ωB97M-V/def2-TZVPD) of C30H24AlCl80N2O3S as an isolated structure at a distorted geometry.

Atoms and positions in Å:
C: -0.414073 3.079532 3.450600
C: -1.031509 3.527378 2.088518
C: -1.248968 2.336335 1.110747
N: -2.115465 1.327755 1.753147
Al: -1.514638 -0.449913 1.679246
C: -0.385607 -1.035322 3.231816
C: 1.152967 -1.174560 3.040943
C: 1.601121 -1.795625 1.687853
C: 3.151400 -1.878931 1.556031
N: 3.798381 -0.794538 0.768756
C: 3.928905 0.450800 1.469127
C: 3.038885 1.617430 1.015185
O: 4.757995 0.576680 2.443378
S: -3.570396 -1.544729 1.969025
C: -4.057013 -1.171349 3.657916
O: -3.462835 -3.026856 1.876978
O: -4.644557 -0.935738 1.143343
H: 0.223490 2.177233 3.347226
H: 0.209174 3.901641 3.877047
H: -1.223732 2.874749 4.185993
H: -0.433204 4.337067 1.627950
H: -2.051676 3.936228 2.289948
H: -1.746765 2.729282 0.193099
H: -0.269082 1.913178 0.788116
H: -3.009451 1.329242 1.245497
H: -0.949226 -0.822724 0.221263
H: -0.789708 -2.018966 3.574121
H: -0.592653 -0.294712 4.052540
H: 1.537977 -1.863628 3.833535
H: 1.647745 -0.195509 3.239143
H: 1.190121 -1.245084 0.816602
H: 1.229694 -2.841198 1.671370
H: 3.618189 -1.917217 2.568064
H: 3.434399 -2.835070 1.055952
H: 3.329176 -0.688171 -0.144224
H: 2.033085 1.471298 1.462986
H: 2.921841 1.651151 -0.092301
H: 3.449376 2.575660 1.401945
H: -3.682162 -0.169076 3.893609
H: -3.548693 -1.886505 4.341355
H: -5.162000 -1.205908 3.747676
C: 2.817580 5.929634 -2.071351
Cl: 1.351777 5.427754 -1.245657
Cl: 4.066191 4.681568 -1.901455
Cl: 2.468425 6.152226 -3.792948
Cl: 3.403268 7.453835 -1.389269
C: 2.086794 0.635093 -3.882331
Cl: 3.379917 -0.003696 -4.908110
Cl: 2.326696 2.379898 -3.710390
Cl: 0.523937 0.350583 -4.652308
Cl: 2.130450 -0.255525 -2.341027
C: 1.811655 -5.148066 -1.894302
Cl: 3.375059 -5.752965 -2.466826
Cl: 1.802032 -3.380052 -1.980496
Cl: 0.532731 -5.772321 -2.940492
Cl: 1.549213 -5.702874 -0.242481
C: 0.929453 1.016823 7.294988
Cl: 2.387130 1.100208 6.303085
Cl: -0.403893 1.806877 6.454187
Cl: 0.521767 -0.678455 7.601739
Cl: 1.217297 1.833935 8.839532
C: 5.141102 -4.223508 -5.853305
Cl: 6.732415 -3.460657 -5.967864
Cl: 4.105477 -3.307701 -4.763422
Cl: 4.386657 -4.269284 -7.452221
Cl: 5.337452 -5.885040 -5.263508
C: -6.347341 2.236684 3.765474
Cl: -4.741852 1.965050 3.104712
Cl: -6.677735 1.081498 5.063881
Cl: -6.457180 3.878340 4.431700
Cl: -7.546711 2.041707 2.466274
C: 5.491470 3.637054 7.593184
Cl: 6.957881 4.593940 7.853480
Cl: 5.398978 3.136473 5.906312
Cl: 5.535196 2.204910 8.634420
Cl: 4.072527 4.610062 8.000790
C: -4.192766 0.201360 -3.363025
Cl: -2.470788 0.531431 -3.589940
Cl: -4.883808 1.406136 -2.272462
Cl: -5.032873 0.314615 -4.933720
Cl: -4.387273 -1.414003 -2.700894
C: 4.627325 -1.740244 -11.462283
Cl: 5.845593 -2.236727 -12.642818
Cl: 4.983787 -0.103004 -10.898418
Cl: 3.021872 -1.760525 -12.205332
Cl: 4.638681 -2.848291 -10.084528
C: -8.126468 -1.705225 -0.758983
Cl: -8.440414 -1.114366 -2.404759
Cl: -6.764499 -2.815905 -0.793529
=====
(Here the text continues)

“But we believe a Japanese mosquito sucked that person’s blood at Yoyogi Park, and then went on to breed and bite others in the park.”

The symptoms of dengue fever are severe joint and muscle aches, headaches and fever.

At this stage none of the 70 victims have become seriously ill, but in a worrying development, two more cases have been confirmed at another park in Tokyo.

At a recent conference, the WHO concluded that dengue fever was extremely sensitive to climate change, and expected the disease to spread dramatically, as it has done in the last couple of decades.

It estimates up to 100 million are infected annually. L

ast year, Singapore had an epidemic that saw four people die and 12,000 become infected.

Mutsuo Kobayashi from the Institute of Infectious Diseases expects Japan to experience more outbreaks in the future.

“The range of the Japanese mosquitoes which transmit Dengue is already spreading to the northern part of Japan,” he said.

“So areas at risk are increasing, and we believe this is caused by global warming.”

DengueMap: Dengue fever infections around the world